Fable III review

It’s Fable time once again, and what seems to be etched into the mind is how recent it feels to have lovingly placed Fable II on the back-burner after all its expanded extras increased the game’s longevity in the absence of a ‘Lost Chapters’ style re-release. With such a seemingly short time frame between the two games, has this meant that developer Lionhead, have made the ultimate fantasy action adventure game they have strived for over the years? At the helm, flying the flag with warming speeches overflowing with eloquent words, is Peter and the vision he has nurtured from those humbling Populous days. With two previous games developed and a third to get things right, does Fable III accomplish its lofty goals, or does it prefer to sit comfortably around the words of its grandest protege?


The game and its tale is distinctly divided into two halves, with the option to deviate away from the story pretty much at any time. The first half of the game provides the backdrop to your male or female, prince or princesses’ purpose, with the rest of the first act an exercise in building relations on a route to taking the throne. There’s a number of interesting quests on offer, with some being far more distinctive than the series has ever seen before. It’s a grand opening which draws you into the world of Albion as expected.

There’s a few changes which have been made, although they all dance around familiar themes. It’s like the core elements of the game remain in tact, although rather than being overhauled, are refined instead.

The one button combat is probably the first thing noticed that has been tweaked a little. It’s still the same three buttons which represent your ranged, melee and magic attacks, but the inclusion of a number of cinematic moves alongside charge attacks separate the combat from its forebears. Charging is a simple case of holding down a button and the cinematic moments are triggered by manual shooting (with a rifle or pistol), or performing flourishes when using a melee weapon. These look good, and sometimes will occur if your character is standing in the right place when shooting/swinging. This is where problems occur because the time slows and the camera often zooms close to the victim, this then leaves you totally blind to other off screen enemies attacking you. It’s intrusive and perhaps more apparent for those using ranged weaponry but something that ruins what should be cool looking finishing moments.

It appears the numbers of enemies you fight at once has also increased, which creates some tense battle moments, however the enemy types and the AI which governs them is a little lacking; to the point where later on in the game you may be tempted to run away from encounters rather than fervently tackle them.

Albion is a rich and diverse place which has benefited from industry and development over the 50 years since Fable II. The world feels more focused, but in some regards the element of wonder and awe is muted. Your interactions with the NPCs has changed, and although there’s a new cosmetic hold hands feature (which seems pretty redundant bar a few missions which require it), and a simple fetch quest for every NPC, you’ll be spending more one on one time with the world’s citizens as opposed to entertaining large groups. The emote system has been changed completely, meaning you can only interact with one person at a time, and follow a strict pattern of auto emotes to get the desired responses. It feels dumbed down completely from the previous games and somewhat takes you away from interacting with the diverse characters on offer. You’re no longer able to amass large followings and the only real use of NPCs is to be the cast of the story and sub-quests. You can still toy with the themes of the past games, such as marriage having kids etc, but it’s nothing new and borders on the contrived, especially as the game has not evolved so much in terms of its content.

The same content issues arise from the previous game, at some point you get to sit on the throne and make game changing decisions (much like those seen in Fable II except having a wider impact on the aesthetics of the game world – like areas being developed) and see the outcomes of those. Sadly, the options are still very black and white with a minuscule splattering of grey on occasion, where you’re mostly 100% either way with NPCs liking what you’ve done or not. It’s a shame, as the game could have offered a little more scope where the feelings of the populous was more varied. Either way, the decisions you make come swift and fast and before you know it, the game’s story ends allowing you to mess around with unfinished quests.

What is odd about the story is the fact that there are identity issues. On one hand, you’re an adventurer hero and potential saviour and the other, ruler of the country. It’s odd that said ruler can sit there and make pies or entertain groups with a bit of busking or even go on random killing sprees. Perhaps allowing the character to enter the world in disguise would have made more sense.

By the end of the story it’s possible to be sitting on millions of gold, however, much like its predecessor sadly, there’s nothing to do with any of it. The property game is still very simplified, with the added options of having to manually click on a property to repair it and adjusting rent levels if you’re renting out. A new map view makes the task easier, allowing you to manage your affairs more coherently. However, it’s still very old school and could have been a lot more user friendly such as allowing selections to be grouped and rent and repairs made to the group.

The menu system is another area which has been changed completely and takes some getting used to. Rather than have text lists and menus, the player is kept in the game as you move your character around various rooms to equip weapons and clothing etc. It’s novel and clever, but in many regards on a practical level seemingly slows simple actions down.

The actual game structure with its slew of explorable elements is well rehearsed and offers a more channelled progression, making progress direct, and to the point. The same can be said for the levelling system which has been simplified further as you collect points for your actions and spend them on various chests in a progression tree. This new and somewhat shackled approach is easy to digest, but loses some elements and charm of previous offerings.

Data records from another source follow:
____________
ORCA calculation (ωB97M-V/def2-TZVPD) on a structure of composition C39H51Cl5FN4OSSi2V at a distorted geometry.

The geometry in ORCA input format:
```
! RIJCOSX wB97M-V def2-TZVPD def2/J DEFGRID3
* xyz 0 3
C -0.6835 3.6628 -1.3280
V 2.4021 -0.3987 0.0532
H -3.0807 -2.4701 0.9741
H -6.7452 0.4206 -4.2340
C 2.0699 -1.8823 -2.2707
H 1.8915 1.1340 4.6753
H 4.8312 -1.2216 3.7067
H -5.3975 -0.9492 0.7455
C -0.9339 -2.3133 1.1559
H 3.1147 2.8859 1.1116
C -6.8767 -0.0223 2.0175
C 3.6990 1.5217 -3.6203
C 4.0443 -3.7813 -2.3004
C -6.3386 0.9738 -3.3623
C 1.7564 2.2409 -1.0606
H 3.5412 1.3427 5.1441
H -6.2468 0.4111 -1.2459
S -3.1927 0.0324 -0.9772
Cl 3.4285 -4.7166 -4.7914
H -0.8065 -5.3910 -1.2254
H -4.4102 0.2661 -3.6467
H 3.7133 2.5163 -4.1056
C -7.0647 0.5742 3.3934
C -4.3699 0.5840 1.8800
H -3.0947 2.1594 -2.9239
Cl 5.1459 -2.9531 -0.0349
H -7.5105 -0.9269 1.9784
N 2.8074 1.3923 -0.8416
H 6.5102 0.9183 -1.1609
H -4.4146 3.2199 -3.1508
H -5.2200 -1.3285 2.4383
H -3.3913 0.1702 1.7320
H -7.1990 0.6414 1.1886
H -5.9893 -0.8266 -2.3857
C -0.6283 2.5795 -0.4308
H 4.6177 -3.3079 4.8659
C -4.1542 2.2472 -2.7238
Cl 1.0438 -2.6582 -4.6857
H -4.7827 1.6235 -4.6392
C 2.9030 0.7734 4.4865
C 5.5920 0.4054 -1.4017
N -4.5292 2.3182 -1.3595
C -6.6158 0.0215 -2.1837
C 3.8525 -3.0443 4.1427
H 2.6591 1.1869 -3.7332
H 4.4767 3.6913 -0.5676
H 3.0936 3.5756 2.7339
C 2.7698 2.6995 2.1298
N -4.4872 1.6091 0.8133
Cl 0.6017 -0.9003 -2.2035
H 1.3096 -4.1854 -0.5765
H -0.8804 -1.4672 1.8165
C -4.0836 1.3588 -0.4904
C -5.4397 -0.4994 1.7407
H -1.5917 4.2441 -1.3484
Si 4.2548 1.6292 -1.7984
C 4.9417 3.2957 -1.4760
H -3.0081 -4.4330 -0.4461
C 0.2834 -2.8168 0.6691
C 1.6028 3.2831 -1.9688
O 1.4656 -2.1172 0.9610
C 2.1344 -2.7869 -3.3564
C 3.9869 -2.8021 -1.3541
Cl 5.2231 -5.0269 -2.1710
H 4.2503 0.8676 -4.2498
H -7.1316 -0.2339 4.1579
H 5.9597 1.3298 2.0219
C 2.2615 -2.5289 2.0588
C -2.1100 -2.9545 0.7598
H -1.4380 2.1850 0.1251
H -6.2457 1.2297 3.6719
C -2.0775 -4.0247 -0.1226
C 5.3466 1.4154 2.9485
C 0.3347 -3.8879 -0.2262
H 5.7336 -0.2876 -2.2385
C 2.0984 -3.7581 2.6774
C 4.0331 -1.8794 3.4660
H 1.6633 2.6737 2.1082
C 0.5839 1.9730 -0.2979
H -8.0274 1.1372 3.4265
C 2.9843 -1.7985 -1.2850
H 6.0421 3.2934 -1.4248
C 0.4403 4.0217 -2.0464
C -4.8415 1.2265 -3.6206
H 4.6742 3.9655 -2.2627
N 3.2193 -0.3166 1.7322
C 2.8802 -4.0246 3.7571
H 2.7433 -4.9990 4.3138
H 2.3950 3.5815 -2.6420
Si 3.5037 1.0878 2.7801
H -7.6682 -0.3058 -2.0894
H -4.4153 1.0866 2.8184
C -0.8276 -4.5164 -0.5891
H 0.3187 4.8865 -2.7210
C 3.1983 -1.5982 2.3947
H 5.3402 2.4204 3.3726
H 2.9978 -0.2616 4.9194
H 5.3427 -0.1246 -0.5009
C 3.1788 -3.7145 -3.4008
H 1.3150 -4.4393 2.3037
H -5.3580 2.1205 0.9191
H -6.8628 1.9088 -3.2431
F 0.6474 0.8577 0.5341
H -4.8814 3.1813 -0.9677
H 5.7981 0.8210 3.6882
*
```

## Properties
LUMO energy (spin up / spin down)	0.37 / 0.38	eV
expectation value of S²	2.019
energy above the lowest of the compared OMol25 structures with the same formula, charge and spin	30.3	kcal/mol
____________
Back to the entry:


Fable III offers the dark and moody, fused with the vibrant and bold to convey the grittiniess of the period it mimics. The game world with all its expanse and diversity does feel less developed in terms of its population. There are a lot of solitary moments as you move from point to point down mostly linear pathways with nothing on offer bar the odd encounter with those repeated foes you get so familiar with. However, you can fast travel to break this element up somewhat, thus speeding up the pacing which will probably be a godsend for many.

Albion’s bleak and twisted world makes for a perfect adventuring backdrop with its colourful NPCs, lush, deserted locales, and its automated cycles. There are less confined areas to explore ranging from desert sands, woodland, to snowy peaks which are welcome additions although a little devoid of NPCs and enemies. Exploring can feel a little restricted at times as your action character refuses to climb onto low ledges and rather frequently bumps into invisible barriers rather than jumping over which only works at certain times.

There are a few graphical glitches most noticeably, the hand holding animation which seems to let go far too often making the feature seem pointless. The camera angle can sometimes obstruct the view when interacting with NPCs making your choice options unreadable. Your partner dog will often animate a little chaotic and get stuck in the scenery, although like any loyal friend always comes back to you. There’s more, but no need to highlight them all.

Aside from a few niggles, Albion feels larger and offers more nooks and crannies to explore than before, although many off the beaten track locations are tied to side quests which detracts from the exploration elements as the ever-present guide trail glistens at you. Sadly, switching it off turns the game into sheer luck as you are given no other pointers of reference should you aim to go it alone. It seems the questing is geared towards having the guide trail on which is a shame.


With a well publicized voice cast it should come as no surprise that the voice work is exceptionally performed despite the script being somewhat limited. There’s a lot of cliché in the story, but with the delivery so good it’s possible you’ll ignore the shortcomings.

Albion is accompanied by a rich and well orchestrated score, guiding you through your endeavours. There are a lot of spot sound effects dashing around the aural field, giving the lands a vibrant and living flavour that’s in tune with the visual activity. One thing that has changed are the custom names which were fun to play with in the past. Now you’re royalty, there’s less need for audio as you are merely referred to as ‘Princess’ or ‘Your Majesty’. This is one element which does retract the customisation aspects of the previous games, and in many ways drains a lot of the interactive personality and humour.


For an action game there’s enough hours to keep you entertained and well hooked. In many ways it’s well above average, although for those of you used to RPGs might feel less excited. That aside, in terms of completion, then there’s a lot on offer, and with the good or evil, male/female choices beckoning you, the game does require at least two play throughs.

Once the story portion of the game has been beaten you’re then able to undertake more quests and a number of item collecting tasks which unaided adds considerable exploring time and plentiful discoveries.

The co-op element has been developed more this time, and allows for some extra personality for both players as they can now interact in more ways and feel a greater part of Albion together.


Fable III comes as a bit of a disappointment simply because it repackages parts of its predecessors, and then strips away a bit of the series’ charm in the process. The Fable series is fast becoming like a yearly sports game which sees the same release each year but with some nips and tucks here and there in the name of progression. That’s not to say Fable III isn’t enjoyable or different, because it is, however after many hours playing, the feeling of deja vu become more apparent and begin to dog what should be a fresh experience. The game appears to offer a clouded take on role playing, action adventuring and sim like management, and in this regard it’s not entirely clear what the game is trying to be. As a Jack of all trades, it never really excels in any one area and makes for a more muted experiences as a result. This potentially can leave the player craving for more depth, yet the game and its offerings is unable to accommodate.

Fable III is a worthy entry into the series as a defiantly polished and well organized familiar experience which is almost verbatim of its predecessor . However, a lack of identity and a dipping of fingers in many pies offers a disjointed experience that should have been developed and evolved more in game number 3. In some ways, we’re taking a step back, with stripped features and some of the old issues still being prevalent. The fact that there’s day one additional content to purchase from the Live Marketplace, goes to show that the sports game comparisons are well justified.

For those of you looking to rekindle the Fable flame and get online and have digital babies, then there’s plenty to sink your teeth into. You’ll feel right at home with what’s on offer, and be glad to make decisions for the greater good. It’s an entertaining ride, and one that has the legs to keep you hooked from humble beginnings to royal conclusion.



Written by: Rob Cram

Rob Cram has hundreds of video game reviews, thousands of articles under his belt with years of experience in gaming and tech. He aims to remain fair and free from publisher/developer influence. With his extensive knowledge, feels his gaming opinions are valid and worth sharing. Agreement with his views are entirely optional. He might have a bias towards cyberpunk.